Transcribe only the lines further down with the word "HOMO" in them.

~~~
[1]
Density functional theory data (ωB97M-V/def2-TZVPD) for a molecular structure, C46H41Ge2N6Ru in a non-equilibrium geometry.

Computed properties:
Gap between HOMO and LUMO (alpha / beta) (eV): 6.458 / 5.239
HOMO level (alpha / beta) (eV): -13.35 / -13.38
Total charge: +2
2S+1: 2

Each line ends with the Löwdin spin population.
Atoms and positions in Å:
Ru -0.75843 0.15355 0.15195  0.692
C -0.97050 -3.99050 -1.09267  0.003
C -1.39289 -4.70335 0.02981  0.000
C -1.43606 -4.04763 1.23393  0.002
C -1.10498 -2.68788 1.31311  0.000
N -0.78223 -1.97893 0.21352  0.002
C -0.67750 -2.65776 -0.95620  0.000
N -1.05027 -2.18644 2.60430  0.008
C -0.91759 -0.95447 2.90954  0.004
N -0.96771 0.17945 2.08386  0.042
C -0.76787 1.31857 2.86795  0.002
N -0.76118 2.55374 2.53101  0.009
C -1.03680 3.02700 1.25640  -0.003
C -1.30774 4.40180 1.20448  0.004
C -1.62110 5.00290 0.01056  -0.001
C -1.63749 4.21354 -1.13737  0.003
C -1.33961 2.87946 -1.02663  -0.002
N -1.03730 2.26575 0.14512  -0.002
C -0.53321 0.87753 4.25500  0.001
C -0.24697 1.61462 5.38894  0.000
C -0.07606 0.89995 6.57086  0.001
C -0.19769 -0.49108 6.60161  0.002
C -0.49182 -1.21911 5.45335  0.000
C -0.65241 -0.49810 4.28568  0.002
H -0.86332 -4.45730 -2.06100  0.000
H -1.64901 -5.75186 -0.03601  0.000
H -1.69839 -4.54463 2.15565  0.000
H -0.32424 -2.08994 -1.80006  0.000
H -1.27914 4.94549 2.13653  0.000
H -1.85166 6.05869 -0.03016  0.000
H -1.87162 4.62371 -2.10891  0.000
H -1.32273 2.25589 -1.90518  -0.001
H -0.16459 2.69192 5.35682  0.000
H 0.14691 1.43045 7.48657  0.000
H -0.06380 -1.00934 7.54160  0.000
H -0.58644 -2.29558 5.46768  0.000
N -1.15130 0.05123 -1.70836  -0.376
C -2.06455 -0.18023 -2.54954  -0.039
C -1.83827 -0.06803 -4.00123  -0.019
C -2.88575 0.27295 -4.85365  0.002
C -2.64399 0.40814 -6.21223  -0.002
C -1.36867 0.19488 -6.71520  0.003
C -0.32372 -0.14574 -5.86403  -0.001
C -0.55340 -0.27398 -4.50631  -0.002
C -3.32818 -0.64901 -1.91100  -0.023
C -3.59472 -0.24368 -0.60652  -0.001
C -4.66314 -0.78106 0.09018  0.003
C -5.46776 -1.73699 -0.52146  -0.001
C -5.20603 -2.14005 -1.82261  0.000
C -4.13384 -1.60198 -2.52322  -0.002
H -3.87717 0.44853 -4.45788  0.000
H -3.45190 0.67809 -6.87781  0.000
H -1.18799 0.29108 -7.77718  0.000
H 0.66713 -0.31726 -6.26238  0.000
H 0.25519 -0.54732 -3.83857  -0.001
H -3.04191 0.58083 -0.15460  0.001
H -4.87624 -0.44949 1.09763  0.000
H -6.30652 -2.15949 0.01474  0.000
H -5.83413 -2.88229 -2.29556  0.000
H -3.91282 -1.94013 -3.52608  0.000
C 4.59858 1.74272 0.17103  0.072
Ge 2.82126 2.50875 0.25552  0.213
C 2.45161 3.48643 1.88541  0.037
C 2.20874 3.45274 -1.32437  0.040
Ge 1.66466 0.01384 0.21600  0.187
C 2.28507 -0.77076 1.87584  0.034
C 2.64130 0.04211 2.95332  0.006
C 3.02963 -0.50829 4.16513  0.000
C 3.04725 -1.88549 4.32439  0.002
C 2.66969 -2.70850 3.27330  0.002
C 2.29330 -2.15763 2.05803  0.009
C 2.36737 -0.75138 -1.42508  0.029
C 2.69135 0.07730 -2.50053  0.006
C 3.17365 -0.44957 -3.68969  0.000
C 3.31803 -1.82241 -3.82949  0.004
C 2.98318 -2.66231 -2.77706  0.001
C 2.51827 -2.13255 -1.58250  0.009
H 5.27580 2.60097 0.11406  0.015
H 4.74472 1.11592 -0.70532  0.000
H 4.82133 1.17663 1.07362  0.000
H 2.46856 4.54610 1.62107  0.006
H 3.23675 3.29334 2.61500  0.001
H 1.48312 3.26439 2.32904  0.003
H 2.25517 4.51943 -1.09559  0.006
H 1.17976 3.21103 -1.58323  0.003
H 2.85076 3.25169 -2.17986  0.001
H 2.60527 1.12015 2.86939  0.002
H 3.30824 0.13805 4.98704  0.000
H 3.34921 -2.31913 5.26849  0.000
H 2.66970 -3.78292 3.39898  0.000
H 1.99027 -2.82729 1.26540  0.001
H 2.56342 1.15088 -2.42827  0.001
H 3.43668 0.21168 -4.50508  0.000
H 3.69627 -2.23789 -4.75383  0.000
H 3.09909 -3.73291 -2.88013  0.000
H 2.28601 -2.81424 -0.77883  0.001

Cartesian forces (eV/Å) of the 6 atoms listed first:
Ru 0.7708 0.2574 -0.6029
C 0.0209 0.0828 0.0083
C 0.0108 0.0598 0.0162
C 0.0155 -0.0234 -0.0925
C -0.0824 0.0979 0.5284
N 0.1172 0.1369 -0.2131

=====

[2]
~~~

Gap between HOMO and LUMO (alpha / beta) (eV): 6.458 / 5.239
HOMO level (alpha / beta) (eV): -13.35 / -13.38